**Listing:**
********
1.
Fe2SbOs | Alexandria | GGA-PBE | relaxed; uncorrected formation energy = 8.01 kcal/mol of atoms
1.0
3.142 0.000 0.000
0.000 4.256 0.000
0.000 0.000 4.383
Fe Sb Os
2 1 1
Direct
0.000 0.000 0.000
0.500 0.000 0.500
0.000 0.500 0.500
0.500 0.500 0.000



2.
Compound: CaZrRe2C
Source: Alexandria
Functional: GGA-PBE
Structure: relaxed

Geometry as POSCAR:
```
CaZrRe2C
1.0
5.011 0.000 0.000
0.000 5.011 0.000
0.000 0.000 4.440
Ca Zr Re C
1 1 2 1
Direct
0.000 0.000 0.000
0.500 0.500 0.500
0.000 0.500 0.500
0.500 0.000 0.500
0.500 0.500 0.000
```



3.
In2P2Pb | Alexandria | GGA-PBE | relaxed; energy relative to the lowest polymorph listed for this composition = 21 meV per atom
1.0
5.090 0.000 0.000
0.000 5.090 0.000
0.000 0.000 9.454
In P Pb
4 4 2
Direct
0.000 0.000 0.149
0.000 0.000 0.851
0.500 0.500 0.351
0.500 0.500 0.649
0.000 0.500 0.250
0.000 0.500 0.750
0.500 0.000 0.250
0.500 0.000 0.750
0.000 0.000 0.500
0.500 0.500 0.000



| no. | total moment (μB per formula unit) | uncorrected energy (eV per cell) | mass density (Mg/m³) |
| --- | --- | --- | --- |
| 1 | 4.8 | -30.89 | 12.004 |
| 2 | 2.6 | -34.33 | 7.680 |
| 3 | 0.0 | -38.07 | 6.763 |

=====

<i>
Below is crystalline YCd2Au2 at its relaxed geometry, with properties calculated at the PBE level.

The structure in CIF format:
```
data_YCd2Au2
_chemical_formula_sum 'Y2 Cd4 Au4'
_symmetry_space_group_name_H-M 'I 4/m m m'
_symmetry_Int_Tables_number 139
_symmetry_space_group_name_Hall '-I 4 2'
_cell_length_a 4.085
_cell_length_b 4.085
_cell_length_c 13.558
_cell_angle_alpha 90.00
_cell_angle_beta 90.00
_cell_angle_gamma 90.00
loop_
_atom_site_label
_atom_site_type_symbol
_atom_site_fract_x
_atom_site_fract_y
_atom_site_fract_z
Y1 Y 0.000 0.000 0.000
Cd1 Cd 0.000 0.500 0.250
Au1 Au 0.000 0.000 0.400
```



<ii>
Below is crystalline YCd2Au2 at its relaxed geometry, with properties calculated at the PBE level.

The structure in CIF format:
```
data_YCd2Au2
_chemical_formula_sum 'Y2 Cd4 Au4'
_symmetry_space_group_name_H-M 'P 1 21/m 1'
_symmetry_Int_Tables_number 11
_symmetry_space_group_name_Hall '-P 2yb'
_cell_length_a 4.867
_cell_length_b 4.854
_cell_length_c 10.017
_cell_angle_alpha 90.00
_cell_angle_beta 93.39
_cell_angle_gamma 90.00
loop_
_atom_site_label
_atom_site_type_symbol
_atom_site_fract_x
_atom_site_fract_y
_atom_site_fract_z
Y1 Y 0.227 0.250 0.323
Cd1 Cd 0.261 0.250 0.678
Cd2 Cd 0.283 0.250 0.992
Au1 Au 0.229 0.750 0.155
Au2 Au 0.254 0.750 0.510
```



<iii>
Below is crystalline YCd2Au2 at its relaxed geometry, with properties calculated at the PBE level.

The structure in CIF format:
```
data_YCd2Au2
_chemical_formula_sum 'Y2 Cd4 Au4'
_symmetry_space_group_name_H-M 'P 4/m b m'
_symmetry_Int_Tables_number 127
_symmetry_space_group_name_Hall '-P 4 2ab'
_cell_length_a 7.572
_cell_length_b 7.572
_cell_length_c 3.966
_cell_angle_alpha 90.00
_cell_angle_beta 90.00
_cell_angle_gamma 90.00
loop_
_atom_site_label
_atom_site_type_symbol
_atom_site_fract_x
_atom_site_fract_y
_atom_site_fract_z
Y1 Y 0.000 0.000 0.000
Cd1 Cd 0.168 0.332 0.500
Au1 Au 0.132 0.632 0.000
```



If we sort the structures by their calculated energies, the order from most to least stable is <i>, <ii>, <iii>.
********

**Exercise:**
Next, type out the contents further up unchanged.

**Result:**
1.
Fe2SbOs | Alexandria | GGA-PBE | relaxed; uncorrected formation energy = 8.01 kcal/mol of atoms
1.0
3.142 0.000 0.000
0.000 4.256 0.000
0.000 0.000 4.383
Fe Sb Os
2 1 1
Direct
0.000 0.000 0.000
0.500 0.000 0.500
0.000 0.500 0.500
0.500 0.500 0.000



2.
Compound: CaZrRe2C
Source: Alexandria
Functional: GGA-PBE
Structure: relaxed

Geometry as POSCAR:
```
CaZrRe2C
1.0
5.011 0.000 0.000
0.000 5.011 0.000
0.000 0.000 4.440
Ca Zr Re C
1 1 2 1
Direct
0.000 0.000 0.000
0.500 0.500 0.500
0.000 0.500 0.500
0.500 0.000 0.500
0.500 0.500 0.000
```



3.
In2P2Pb | Alexandria | GGA-PBE | relaxed; energy relative to the lowest polymorph listed for this composition = 21 meV per atom
1.0
5.090 0.000 0.000
0.000 5.090 0.000
0.000 0.000 9.454
In P Pb
4 4 2
Direct
0.000 0.000 0.149
0.000 0.000 0.851
0.500 0.500 0.351
0.500 0.500 0.649
0.000 0.500 0.250
0.000 0.500 0.750
0.500 0.000 0.250
0.500 0.000 0.750
0.000 0.000 0.500
0.500 0.500 0.000



| no. | total moment (μB per formula unit) | uncorrected energy (eV per cell) | mass density (Mg/m³) |
| --- | --- | --- | --- |
| 1 | 4.8 | -30.89 | 12.004 |
| 2 | 2.6 | -34.33 | 7.680 |
| 3 | 0.0 | -38.07 | 6.763 |

=====

<i>
Below is crystalline YCd2Au2 at its relaxed geometry, with properties calculated at the PBE level.

The structure in CIF format:
```
data_YCd2Au2
_chemical_formula_sum 'Y2 Cd4 Au4'
_symmetry_space_group_name_H-M 'I 4/m m m'
_symmetry_Int_Tables_number 139
_symmetry_space_group_name_Hall '-I 4 2'
_cell_length_a 4.085
_cell_length_b 4.085
_cell_length_c 13.558
_cell_angle_alpha 90.00
_cell_angle_beta 90.00
_cell_angle_gamma 90.00
loop_
_atom_site_label
_atom_site_type_symbol
_atom_site_fract_x
_atom_site_fract_y
_atom_site_fract_z
Y1 Y 0.000 0.000 0.000
Cd1 Cd 0.000 0.500 0.250
Au1 Au 0.000 0.000 0.400
```



<ii>
Below is crystalline YCd2Au2 at its relaxed geometry, with properties calculated at the PBE level.

The structure in CIF format:
```
data_YCd2Au2
_chemical_formula_sum 'Y2 Cd4 Au4'
_symmetry_space_group_name_H-M 'P 1 21/m 1'
_symmetry_Int_Tables_number 11
_symmetry_space_group_name_Hall '-P 2yb'
_cell_length_a 4.867
_cell_length_b 4.854
_cell_length_c 10.017
_cell_angle_alpha 90.00
_cell_angle_beta 93.39
_cell_angle_gamma 90.00
loop_
_atom_site_label
_atom_site_type_symbol
_atom_site_fract_x
_atom_site_fract_y
_atom_site_fract_z
Y1 Y 0.227 0.250 0.323
Cd1 Cd 0.261 0.250 0.678
Cd2 Cd 0.283 0.250 0.992
Au1 Au 0.229 0.750 0.155
Au2 Au 0.254 0.750 0.510
```



<iii>
Below is crystalline YCd2Au2 at its relaxed geometry, with properties calculated at the PBE level.

The structure in CIF format:
```
data_YCd2Au2
_chemical_formula_sum 'Y2 Cd4 Au4'
_symmetry_space_group_name_H-M 'P 4/m b m'
_symmetry_Int_Tables_number 127
_symmetry_space_group_name_Hall '-P 4 2ab'
_cell_length_a 7.572
_cell_length_b 7.572
_cell_length_c 3.966
_cell_angle_alpha 90.00
_cell_angle_beta 90.00
_cell_angle_gamma 90.00
loop_
_atom_site_label
_atom_site_type_symbol
_atom_site_fract_x
_atom_site_fract_y
_atom_site_fract_z
Y1 Y 0.000 0.000 0.000
Cd1 Cd 0.168 0.332 0.500
Au1 Au 0.132 0.632 0.000
```



If we sort the structures by their calculated energies, the order from most to least stable is <i>, <ii>, <iii>.